Where neoliberalism subjugates the natural world and people to the commercial whims of markets and globalization, sustainable use has ensured the international commercialization of biodiversity, and determined that price and trade be the arbiter of what value each species holds.
One of many narratives since the outbreak of COVID-19, particularly among a sector within the status quo, tells us this pandemic has been an unforeseen crisis, a surprise, one that has caught the political and business community from the blind side.
-- Here the page breaks off for calculated crystals --
/*
No. 1
Below is a relaxed structure of Sr2BeHg, with properties calculated at the PBE level.

abc: 4.7039 4.7039 11.0403
angles: 90.00 90.00 90.00
Positions (direct):
Sr1 0.0000 0.0000 0.0000
Sr2 0.0000 0.5000 0.2500
Sr3 0.5000 0.0000 0.7500
Sr4 0.5000 0.5000 0.5000
Be1 0.0000 0.5000 0.7500
Be2 0.5000 0.0000 0.2500
Hg1 0.0000 0.0000 0.5000
Hg2 0.5000 0.5000 0.0000

## Properties
total energy	-1.628	eV per atom
offset from the most stable computed form	277.2	meV/atom
space group	I-4m2
magnetic moment	0.00	μB per formula unit
theoretical density	5.232	g/cm3

---

No. 2
Below is a relaxed structure of Sr2BeHg, with properties calculated at the PBE level.

abc: 4.5185 4.5185 23.4170
angles: 90.00 90.00 120.00
Positions (direct):
Sr1 0.0000 0.0000 0.0000
Sr2 0.0000 0.0000 0.1713
Sr3 0.3333 0.6667 0.6667
Sr4 0.3333 0.6667 0.8380
Sr5 0.6667 0.3333 0.3333
Sr6 0.6667 0.3333 0.5046
Be1 0.0000 0.0000 0.4189
Be2 0.3333 0.6667 0.0856
Be3 0.6667 0.3333 0.7523
Hg1 0.0000 0.0000 0.7522
Hg2 0.3333 0.6667 0.4189
Hg3 0.6667 0.3333 0.0855

## Properties
total energy	-1.906	eV per atom
offset from the most stable computed form	0.0	meV/atom
space group	R3m
magnetic moment	0.00	μB per formula unit
theoretical density	4.630	g/cm3

---

No. 3
Below is a relaxed structure of SrBe2Hg, with properties calculated at the PBE level.

abc: 4.7016 4.7016 16.5787
angles: 90.00 90.00 90.00
Positions (direct):
Sr1 0.0000 0.2500 0.3750
Sr2 0.0000 0.7500 0.6250
Sr3 0.5000 0.2500 0.1250
Sr4 0.5000 0.7500 0.8750
Be1 0.0000 0.0000 0.0000
Be2 0.0000 0.5000 0.0000
Be3 0.2500 0.2500 0.7500
Be4 0.2500 0.7500 0.2500
Be5 0.5000 0.0000 0.5000
Be6 0.5000 0.5000 0.5000
Be7 0.7500 0.2500 0.7500
Be8 0.7500 0.7500 0.2500
Hg1 0.0000 0.2500 0.8750
Hg2 0.0000 0.7500 0.1250
Hg3 0.5000 0.2500 0.6250
Hg4 0.5000 0.7500 0.3750

## Properties
total energy	-2.131	eV per atom
space group	I4_1/amd
magnetic moment	0.00	μB per formula unit
theoretical density	5.550	g/cm3

---

No. 4
Below is a relaxed structure of SrBe2Hg, with properties calculated at the PBE level.

abc: 6.3835 6.3798 4.2991
angles: 90.00 90.62 90.00
Positions (direct):
Sr1 0.0000 0.0000 0.0000
Sr2 0.5000 0.5000 0.0000
Be1 0.2500 0.2500 0.5000
Be2 0.2500 0.7500 0.5000
Be3 0.7500 0.2500 0.5000
Be4 0.7500 0.7500 0.5000
Hg1 0.0000 0.5000 0.0000
Hg2 0.5000 0.0000 0.0000

## Properties
total energy	-1.714	eV per atom
space group	C2/m
magnetic moment	0.00	μB per formula unit
theoretical density	5.809	g/cm3

---

No. 5
Below is a relaxed structure of SrBe2Hg, with properties calculated at the PBE level.

abc: 4.1638 4.3388 5.4369
angles: 113.26 90.57 90.07
Positions (direct):
Sr1 0.0000 0.0000 0.0000
Be1 0.2542 0.7083 0.4211
Be2 0.7458 0.7067 0.4172
Hg1 0.5030 0.2678 0.5401

## Properties
total energy	-2.199	eV per atom
space group	P1
magnetic moment	0.00	μB per formula unit
theoretical density	5.636	g/cm3

---

No. 6
Below is a relaxed structure of Sr2BeHg, with properties calculated at the PBE level.

abc: 5.0355 4.4745 6.0885
*/
-- Here the page continues --
Nothing could be further from the truth. This misinformation is an attempt by those with vested interests in the current systems to hide shortcomings, failures and poor leadership, which in turn becomes a self-serving rationale for why fundamental change is not required.
Indeed, countless people and agencies have been paying attention, and they have issued stern warnings, some for many years.
I want to draw attention to three notable contributions. One is a report that should have shocked the world into action, another an immensely insightful opinion piece that reflects on this report, and the third, a more recent commentary on what the authors believe to be a pandemic of equal proportions to that of the virus itself. When viewed together, they speak to an ignorance that has existed from many within the political, business and environmental communities.
This unwillingness to hear is a strategic denial that ignores the links between current production and consumption paradigms, and environmental collapse, which includes the spread of zoonotic pandemics. They have also silenced the calls for far-reaching structural change.
In May 2019, the Intergovernmental Science-Policy Platform on Biodiversity and Ecosystem Services (IPBES) released the first-ever inter-governmental global assessment on the health of biodiversity and ecosystems. It was the most comprehensive report of its kind ever and its contents were alarming. In summary, approximately one million species are now threatened with extinction, all ecosystems are deteriorating at unprecedented rates due to unsustainable human activity and, according to the 145 expert scientists and countless researchers involved, the current global response to the declines and destruction has been “insufficient.”

So insufficient, in fact, that they refer to the situation as an “ominous picture” and called for “transformative changes” to restore and protect the natural world.
While the data was shocking, it was not unexpected. The more telling aspects were the fact that the authors of a mainstream scientific body, so often constrained by academic protocol, felt compelled to speak out, reinforcing that transformative change meant “a fundamental, system-wide reorganization across technological, economic and social factors, including paradigms, goals and values.”
# Inserted here: calculated crystals
+++
Here is crystalline Ba2ScBi2 at its relaxed geometry from the Alexandria database. Energies are from GGA-PBE.

abc: 8.5870 8.5870 5.1497
angles: 90.00 90.00 90.00
Each line ends with the local moment (μB).
Fractional coordinates of all 10 atoms:
Sc 0.0000 0.0000 0.0000  0.32
Sc 0.5000 0.5000 0.0000  0.32
Bi 0.3351 0.8351 0.0000  0.00
Bi 0.8351 0.6649 0.0000  -0.01
Bi 0.6649 0.1649 0.0000  0.00
Bi 0.1649 0.3351 0.0000  -0.01
Ba 0.1479 0.6479 0.5000  0.04
Ba 0.6479 0.8521 0.5000  0.04
Ba 0.8521 0.3521 0.5000  0.04
Ba 0.3521 0.1479 0.5000  0.04

Excess energy over the best structure of this formula in the dataset (meV per atom): 144
E_form (kJ per mole of atoms): -62.29
Space group: P4/mbm
Magnetization (μB/f.u.): 1.0
E (eV/atom): -4.23
Density (g/cm³): 6.5

* * * * *

(1)
DFT (PBE) results for DyYTmTl after structural relaxation.

**Total DFT energy (no corrections)**: -4.5189 eV/atom
**Formation energy**: -42.9 meV/atom
**Energy relative to the lowest polymorph listed for this composition**: 134.0 meV/atom

Lattice parameters (Å, degrees): 7.7078 7.7078 7.7078 90.00 90.00 90.00
Space group F-43m (No. 216)
Symmetry-distinct sites (fractional):
Dy: 0.0000 0.0000 0.0000 [4 per cell]
Y: 0.0000 0.0000 0.5000 [4 per cell]
Tm: 0.2500 0.2500 0.2500 [4 per cell]
Tl: 0.2500 0.2500 0.7500 [4 per cell]

---

(2)
DFT (PBE) results for Dy2TmTl2Zn2 after structural relaxation.

**Total DFT energy (no corrections)**: -3.1277 eV/atom
**Formation energy**: -134.0 meV/atom

Lattice parameters (Å, degrees): 4.7239 4.7239 27.2450 90.00 90.00 120.00
Space group R-3m (No. 166, hexagonal axes)
Symmetry-distinct sites (fractional):
Dy: 0.0000 0.0000 0.1262 [6 per cell]
Tm: 0.0000 0.0000 0.0000 [3 per cell]
Tl: 0.0000 0.0000 0.2620 [6 per cell]
Zn: 0.0000 0.0000 0.3895 [6 per cell]

---

(3)
DFT (PBE) results for DyTm2Tl2Zn2 after structural relaxation.

**Total DFT energy (no corrections)**: -3.1025 eV/atom
**Formation energy**: -127.4 meV/atom

Lattice parameters (Å, degrees): 4.7629 4.7629 26.3000 90.00 90.00 120.00
Space group R-3m (No. 166, hexagonal axes)
Symmetry-distinct sites (fractional):
Dy: 0.0000 0.0000 0.0000 [3 per cell]
Tm: 0.0000 0.0000 0.1311 [6 per cell]
Tl: 0.0000 0.0000 0.2669 [6 per cell]
Zn: 0.0000 0.0000 0.4267 [6 per cell]

* * * * *

Below is crystalline Pr2Bi2Pt15 at its relaxed geometry, with properties calculated at the PBE-GGA level.

Values from the calculation:
Its total magnetization is 0.0 μB/f.u. For the formation energy, the calculation gives -0.447 eV per atom. The calculation puts the density of states at the Fermi level at 43.940 states/eV per cell. The calculated total energy comes out at -6.13 eV/atom.

Geometry as CIF:
```
data_Pr2Bi2Pt15
_chemical_formula_sum 'Pr6 Bi6 Pt45'
_cell_length_a 9.5308
_cell_length_b 9.5308
_cell_length_c 13.6159
_cell_angle_alpha 90.00
_cell_angle_beta 90.00
_cell_angle_gamma 120.00
_symmetry_space_group_name_H-M 'R -3 m'
_symmetry_Int_Tables_number 166
_symmetry_space_group_name_Hall '-R 3 2"'
loop_
+++
# Here the page continues
These are strong words, and they were taken even further when the authors went on to assert that the “opposition from vested interests can be overcome for the broader public good”. By recognizing the power of vested interests, those individuals and sectors of society that oppose any change, the authors of the report highlight what may well turn out to be the most significant challenge we face.
The second contribution comes from Andrew Nikiforuk, an award-winning Canadian journalist and author. In response to the bleak news contained in the IPBES report, he published a perceptive piece asking: “Who, or What, Will Stop the Battle against Biodiversity?”
Nikiforuk goes further than calling the wider environmental and conservation effort as “insufficient”; in his assessment, our agencies, and the paradigms we follow, have simply failed us and the planet. In making this claim, Nikiforuk reminds us of the sentiments expressed by Austrian philosopher, Ivan Illich, who pointed out that if environmentalism cannot force behavior and paradigm change, then all of us involved are merely accountants to the carnage. Illich expressed this view in 1969, 50 years before the IPBES panel spoke out.
Nikiforuk also draws our attention to another prophetic sentiment by Illich: “The more we viewed nature as a disposable commodity or a convenient resource, the less we would worry about its degradation.” This comment encapsulates exactly where we are today in our development and relationship with the environment: unfettered growth at the expense of ecological sustainability.
The third contribution picks up on this unstable relationship by relating our current disorder to neoliberalism, the ideology that in various manifestations has been the driving paradigm over the last few decades. Neoliberalism is reliant on free markets, deregulation and less government, as well as the globalization of capital, trade and labor, all factors that handsomely reward the so-called entrepreneurs that have free reign. Abhilasha Srivastava and Aseem Hasnain believe this to be the true pandemic we face.
Their thoughts are summed up in the notion that economic activity has become the primary consideration for all human endeavors. “This outbreak has shown how contemporary capitalism and its neoliberal ideology stands in direct opposition to nature and human life itself.” Or, the flip side of the same coin may well read: the natural world and people now exist merely as servants to the pursuit of growth, profits and other benefits to be gained from economic activity.
These three strands come together as a damning assessment. Highlighted by the COVID-19 pandemic, they speak clearly to the urgent need for change to our entire approach, “a system-wide reorganization” in the words of the IPBES panel, to avoid future pandemics, another mass extinction and unstable human societies.
Nowhere is this more applicable than in South Africa. With poverty, inequality and employment indicators prior to the lockdown showing that the majority of people are worse off today than in 1994, neoliberalism has brought its misery to this country as well.
But what about its conservation equivalent, the doctrine of sustainable use, particularly the way it is applied in southern Africa? As ideologies go, they are actually part and parcel of the same paradigm.

Where neoliberalism subjugates the natural world and people to the commercial whims of markets and globalization, sustainable use has ensured the international commercialization of biodiversity, and determined that price and trade be the arbiter of what value each species holds. And neither seems to understand the cultural and social complexity of our living systems, or the notions of ecological and ethical sustainability.
In addition, both gained real traction during the 1980s, a bygone era, one so different from conditions the world finds itself in today, which may have something to do with why they also suffer from the same fallacy: that somehow, through their application, “trickle-down” benefits will accrue to all.
In the case of neoliberalism, calls for deep tax cuts for the wealthy and business community along with lifting of trading restrictions are justified on the grounds that these immediate benefits to the elites will somehow trickle down to all citizens sometime in the longer term.
Sustainable use has a far narrower reach, but here in southern Africa, it relies on using the same sort of justification: If governments hand private land-owners control over wildlife through trade and markets, their commercial activities will somehow over time benefit conservation, the species being exploited, and take care of the state’s socio-economic obligations to rural development.
Both make claims to achievements that are increasingly challenged globally. With neoliberalism, adherents claim more people have been dragged out of extreme poverty than ever before. While that can be represented with statistics, opponents question the general well-being of the people in this new stratum, and ask at what cost to cultural, community and environmental considerations. Have they been taken out of poverty, or have they merely been added to those already subjugated to the treadmill of dependence, cultural alienation and inequality?
In a similar vein, the sustainable use lobby goes on about the high volumes of wildlife found on private lands in South Africa as a benefit, but this too is a mere statistic that masks the details. Under what conditions and for what purposes have they bred all these animals? Most involved are farmers and businessmen breeding wild species under agricultural conditions. And they are doing so through human selection for characteristics defined by the highest prices paid for body parts; in other words, they are domesticating a range of Africa’s most iconic species. This is pure exploitation of these species, has nothing to do with biodiversity conservation and is certainly no panacea to the development of rural communities.
Data records, as found in the file:
____________
# Li4Ni8O9F7 GGA+U optimized geometry
# SG = P1
# E = -0.3422 Ry per atom
# ρ = 4.4 Mg/m³
data_Li4Ni8O9F7
_chemical_formula_sum 'Li4 Ni8 O9 F7'
_space_group_name_H-M_alt 'P 1'
_space_group_IT_number 1
_cell_length_a 5.979
_cell_length_b 5.938
_cell_length_c 10.526
_cell_angle_alpha 107.86
_cell_angle_beta 72.18
_cell_angle_gamma 123.37
loop_
_space_group_symop_operation_xyz
'x,y,z'
loop_
_atom_site_label
_atom_site_type_symbol
_atom_site_fract_x
_atom_site_fract_y
_atom_site_fract_z
Li1 Li 0.819 0.717 0.054
Li2 Li 0.698 0.793 0.450
Li3 Li 0.294 0.206 0.551
Li4 Li 0.200 0.292 0.950
Ni1 Ni 0.244 0.751 0.244
Ni2 Ni 0.250 0.243 0.247
Ni3 Ni 0.999 0.499 0.499
Ni4 Ni 0.492 0.001 0.003
Ni5 Ni 0.248 0.749 0.750
Ni6 Ni 0.750 0.249 0.249
Ni7 Ni 0.747 0.749 0.751
Ni8 Ni 0.749 0.249 0.750
O1 O 0.145 0.907 0.133
O2 O 0.118 0.373 0.156
O3 O 0.594 0.903 0.136
O4 O 0.612 0.883 0.654
O5 O 0.907 0.595 0.363
O6 O 0.092 0.404 0.635
O7 O 0.383 0.123 0.343
O8 O 0.405 0.095 0.864
O9 O 0.885 0.616 0.846
F1 F 0.118 0.877 0.620
F2 F 0.636 0.387 0.125
F3 F 0.371 0.599 0.373
F4 F 0.623 0.380 0.620
F5 F 0.376 0.620 0.878
F6 F 0.873 0.120 0.378
F7 F 0.872 0.119 0.879

~~~~~

[1]
Computed, not measured: DyHoW2N6 after structural relaxation at the PBE-GGA level of DFT.

Theoretical density ... 8.256 g/cm3
Energy relative to the elements, uncorrected ... -10.107 eV per formula unit
Raw total energy ... -9.51 eV per atom

a b c (Å): 6.3004 7.3799 7.3799
angles (deg): 81.21 73.16 73.16
Sites, in units of the cell vectors:
Ho  0.2500  0.2869  0.7131
Ho  0.7500  0.7131  0.2869
N  0.1558  0.9988  0.7802
N  0.3408  0.8855  0.3740
N  0.9221  0.3690  0.3409
N  0.8442  0.0012  0.2198
N  0.6592  0.1145  0.6260
N  0.1592  0.6260  0.1145
N  0.3442  0.2198  0.0012
N  0.6558  0.7802  0.9988
N  0.4221  0.3409  0.3690
N  0.8408  0.3740  0.8855
N  0.0779  0.6310  0.6591
N  0.5779  0.6591  0.6310
W  0.7778  0.6202  0.7986
W  0.2778  0.7986  0.6202
W  0.7222  0.2014  0.3798
W  0.2222  0.3798  0.2014
Dy  0.2500  0.9092  0.0908
Dy  0.7500  0.0908  0.9092

[2]
Computed, not measured: DyY2HoN4 after structural relaxation at the PBE-GGA level of DFT.

Theoretical density ... 7.886 g/cm3
Energy relative to the elements, uncorrected ... -13.676 eV per formula unit
Raw total energy ... -8.64 eV per atom

a b c (Å): 3.4707 6.0092 6.0093
angles (deg): 109.45 90.00 90.00
Sites, in units of the cell vectors:
N  0.5000  0.7512  0.7517
N  0.0000  0.2498  0.7514
N  0.0000  0.7502  0.2486
N  0.5000  0.2488  0.2483
Dy  0.5000  0.5000  0.0000
Y  0.5000  0.0000  0.5000
Y  0.0000  0.5000  0.5000
Ho  0.0000  0.0000  0.0000

[3]
Computed, not measured: DyYHo2N4 after structural relaxation at the PBE-GGA level of DFT.

Theoretical density ... 9.010 g/cm3
Energy relative to the elements, uncorrected ... -13.780 eV per formula unit
Raw total energy ... -8.41 eV per atom

a b c (Å): 3.4636 5.9968 5.9970
angles (deg): 109.45 90.00 90.00
Sites, in units of the cell vectors:
Ho  0.0000  0.5000  0.5000
____________
End of the data records:
If we are truly going to heed the deep concerns expressed by the IPBES panel, as well as achieve equitable and sustainable societies within a healthy environment, then both neoliberalism and sustainable use need to be replaced as they appear in complete contradiction to these aims and objectives.
This brings us back to the vested interests and the forces against change. The pandemic may well take care of neoliberalism, but it will take longer to rid sustainable use, one of neoliberalism’s more insidious tentacles, from policy-making. There is an entire group out there, including environmental consultants, researchers, resource economists and more that have staked their body of work on the doctrine. They are part of those with vested interests, unlikely at this stage of their careers to admit that a lifetime of support may no longer be in the best interests of the environment.
Featured image: young lions. Image credit Kim Bartlett – Animal People, Inc.